What to do:
Could you search the block below for the word "and" and repeat each line that has it?
Contents:
=====
Structure and calculated X-ray powder pattern of NiAg2O2 (DFT lattice parameters and positions (PBE+U); Cu Kα (weighted mean of Kα1 and Kα2)).

Largest 10 diffraction maxima, in order of rising 2θ, 10 to 90 degrees two-theta:
hkl	Position (°2θ)	intensity
0 0 3	11.34	18
0 0 9	34.46	47
0 1 2	35.08	30
1 0 4	37.59	41
0 1 5	39.39	100
1 0 7	43.88	27
1 0 10	52.39	21
1 1 0	61.24	30
0 1 14	66.29	18
1 1 9	72.21	24

Atomic structure:
```
data_NiAg2O2
_chemical_formula_sum 'Ni3 Ag6 O6'
_cell_length_a 3.0273
_cell_length_b 3.0273
_cell_length_c 23.4131
_cell_angle_alpha 90.00
_cell_angle_beta 90.00
_cell_angle_gamma 120.00
_symmetry_space_group_name_H-M 'R -3 m'
_symmetry_Int_Tables_number 166
_symmetry_space_group_name_Hall '-R 3 2"'
loop_
_atom_site_label
_atom_site_type_symbol
_atom_site_fract_x
_atom_site_fract_y
_atom_site_fract_z
_atom_site_occupancy
Ni1 Ni 0.0000 0.0000 0.0000 1
Ag1 Ag 0.0000 0.0000 0.2149 1
O1 O 0.0000 0.0000 0.3799 1
```

Structure and calculated X-ray powder pattern of NiAgO2 (DFT lattice parameters and positions (PBE+U); Cu Kα (weighted mean of Kα1 and Kα2)).

Largest 10 diffraction maxima, in order of rising 2θ, 10 to 90 degrees two-theta:
hkl	Position (°2θ)	intensity
1 0 1	20.39	6
1 1 2	32.56	100
2 0 0	35.60	28
2 1 1	41.37	6
0 0 4	41.84	8
2 2 0	51.23	15
2 0 4	56.07	24
3 1 2	62.03	28
2 2 4	68.21	9
1 1 6	70.56	9

Atomic structure:
```
data_NiAgO2
_chemical_formula_sum 'Ni4 Ag4 O8'
_cell_length_a 5.0438
_cell_length_b 5.0438
_cell_length_c 8.6362
_cell_angle_alpha 90.00
_cell_angle_beta 90.00
_cell_angle_gamma 90.00
_symmetry_space_group_name_H-M 'I -4 2 d'
_symmetry_Int_Tables_number 122
_symmetry_space_group_name_Hall 'I -4 2bw'
loop_
_atom_site_label
_atom_site_type_symbol
_atom_site_fract_x
_atom_site_fract_y
_atom_site_fract_z
_atom_site_occupancy
Ni1 Ni 0.0000 0.0000 0.0000 1
Ag1 Ag 0.0000 0.0000 0.5000 1
O1 O 0.1730 0.2500 0.1250 1
```

Structure and calculated X-ray powder pattern of NiAgO (DFT lattice parameters and positions (PBE+U); Cu Kα (weighted mean of Kα1 and Kα2)).

Largest 10 diffraction maxima, in order of rising 2θ, 10 to 90 degrees two-theta:
hkl	Position (°2θ)	intensity
2 0 1	32.14	8
4 1 0	36.59	100
8 0 0	40.01	26
6 1 0	43.14	9
0 1 1	43.71	44
8 1 1	60.74	28
0 2 0	63.54	13
12 1 0	70.44	12
4 2 1	75.61	22
8 2 0	77.79	13

Atomic structure:
```
data_NiAgO
_chemical_formula_sum 'Ni4 Ag4 O4'
_cell_length_a 18.0272
_cell_length_b 2.9290
_cell_length_c 2.9281
_cell_angle_alpha 90.00
_cell_angle_beta 90.00
_cell_angle_gamma 90.00
_symmetry_space_group_name_H-M 'P n m a'
_symmetry_Int_Tables_number 62
_symmetry_space_group_name_Hall '-P 2ac 2n'
loop_
_atom_site_label
_atom_site_type_symbol
_atom_site_fract_x
_atom_site_fract_y
_atom_site_fract_z
_atom_site_occupancy
Ni1 Ni 0.1893 0.2500 0.2410 1
Ag1 Ag 0.0554 0.7500 0.7494 1
O1 O 0.1925 0.7500 0.7408 1
```

Structure and calculated X-ray powder pattern of Ni2Ag2PtO6 (DFT lattice parameters and positions (PBE+U); Cu Kα (weighted mean of Kα1 and Kα2)).

Largest 10 diffraction maxima, in order of rising 2θ, 10 to 90 degrees two-theta:
hkl	Position (°2θ)	intensity
0 0 1	15.72	33
1 1 -1	21.85	73
0 2 1	25.37	82
1 1 1	28.72	37
0 0 2	31.74	69
1 3 0	34.72	100
2 0 0	35.03	73
2 0 -2	39.49	36
1 3 -2	43.65	98
1 3 2	51.60	43

Atomic structure:
```
data_Ni2Ag2PtO6
_chemical_formula_sum 'Ni4 Ag4 Pt2 O12'
_cell_length_a 5.3907
_cell_length_b 8.9757
_cell_length_c 5.9321
_cell_angle_alpha 90.00
_cell_angle_beta 108.13
_cell_angle_gamma 90.00
_symmetry_space_group_name_H-M 'C 1 2/m 1'
_symmetry_Int_Tables_number 12
_symmetry_space_group_name_Hall '-C 2y'
loop_
_atom_site_label
_atom_site_type_symbol
_atom_site_fract_x
_atom_site_fract_y
_atom_site_fract_z
_atom_site_occupancy
Ni1 Ni 0.0000 0.1643 0.0000 1
Ag1 Ag 0.0000 0.1845 0.5000 1
Pt1 Pt 0.0000 0.5000 0.0000 1
O1 O 0.1127 0.3341 0.8223 1
O2 O 0.1135 0.0000 0.8002 1
```

Structure and calculated X-ray powder pattern of Ni2Ag2TeO6 (DFT lattice parameters and positions (PBE+U); Cu Kα (weighted mean of Kα1 and Kα2)).
=====
Done:
Structure and calculated X-ray powder pattern of NiAg2O2 (DFT lattice parameters and positions (PBE+U); Cu Kα (weighted mean of Kα1 and Kα2)).
Structure and calculated X-ray powder pattern of NiAgO2 (DFT lattice parameters and positions (PBE+U); Cu Kα (weighted mean of Kα1 and Kα2)).
Structure and calculated X-ray powder pattern of NiAgO (DFT lattice parameters and positions (PBE+U); Cu Kα (weighted mean of Kα1 and Kα2)).
Structure and calculated X-ray powder pattern of Ni2Ag2PtO6 (DFT lattice parameters and positions (PBE+U); Cu Kα (weighted mean of Kα1 and Kα2)).
Structure and calculated X-ray powder pattern of Ni2Ag2TeO6 (DFT lattice parameters and positions (PBE+U); Cu Kα (weighted mean of Kα1 and Kα2)).